These blogs have been a long time coming so I thought I'd finally get around to some in honor of Mother's Day. Taking it all the way back to November, I had still been living and working in Wellington and having an absolute blast!
November had worked itself out that right around Thanksgiving, my friend in Auckland, Kendal, invited me on a girls trip that she and her friends were taking to Waiheke Island. I secured the time off work for the trip and even managed to coordinate some Thanksgiving festivities for the trip away from Welly. With our family friends the Seniors (Lucy is a sorority sister of my mom's), we organized to do a Kiwi style Thanksgiving the Thursday before jetting off to the Island on Friday.
== Between two parts of the page: calculated crystals ==
____________
1.
The following is a DFT calculation (PBE) of an optimized crystal structure of SrOs2Rh.

Cell lengths 6.546, 6.546, 6.546 Å; angles 90.00, 90.00, 90.00 degrees
Space group Fm-3m (No. 225)
Asymmetric unit:
Sr: 0.000 0.000 0.000 (multiplicity 4)
Os: 0.250 0.250 0.250 (multiplicity 8)
Rh: 0.000 0.000 0.500 (multiplicity 4)

The calculation puts the total energy at -105.8 eV per cell. The spin magnetization comes out at 0.0 μB/f.u. The formation energy from the elements is 1.259 eV/atom. As for the crystal system: cubic.

=====

2.
The following is a DFT calculation (PBE) of an optimized crystal structure of SrOs2Rh.

Cell lengths 2.919, 2.919, 8.377 Å; angles 90.00, 90.00, 90.00 degrees
Space group P4mm (No. 99)
Asymmetric unit:
Sr: 0.000 0.000 0.000 (multiplicity 1)
Os: 0.000 0.000 0.491 (multiplicity 1)
Os: 0.500 0.500 0.302 (multiplicity 1)
Rh: 0.500 0.500 0.705 (multiplicity 1)

The calculation puts the total energy at -29.8 eV per cell. The spin magnetization comes out at 0.0 μB/f.u. The formation energy from the elements is 0.426 eV/atom. As for the crystal system: tetragonal.

=====

3.
The following is a DFT calculation (PBE) of an optimized crystal structure of Sr2OsRh.

Cell lengths 8.214, 8.214, 5.853 Å; angles 90.00, 90.00, 90.00 degrees
Space group I-42d (No. 122)
Asymmetric unit:
Sr: 0.229 0.250 0.125 (multiplicity 8)
Os: 0.000 0.000 0.500 (multiplicity 4)
Rh: 0.000 0.000 0.000 (multiplicity 4)

The calculation puts the total energy at -73.6 eV per cell. The spin magnetization comes out at 1.8 μB/f.u. The formation energy from the elements is 0.887 eV/atom. As for the crystal system: tetragonal.

=====

4.
The following is a DFT calculation (PBE) of an optimized crystal structure of Sr2OsRh.

Cell lengths 3.059, 4.332, 6.884 Å; angles 90.00, 90.00, 90.00 degrees
Space group Pmmm (No. 47)
Asymmetric unit:
Sr: 0.000 0.000 0.246 (multiplicity 2)
Os: 0.500 0.500 0.500 (multiplicity 1)
Rh: 0.500 0.500 0.000 (multiplicity 1)

The calculation puts the total energy at -19.4 eV per cell. The spin magnetization comes out at 0.1 μB/f.u. The formation energy from the elements is 0.635 eV/atom. As for the crystal system: orthorhombic.

=====

5.
The following is a DFT calculation (PBE) of an optimized crystal structure of SrOsRh2.

Cell lengths 4.091, 4.091, 8.431 Å; angles 90.00, 90.00, 90.00 degrees
Space group I-4m2 (No. 119)
Asymmetric unit:
Sr: 0.000 0.000 0.000 (multiplicity 2)
Os: 0.000 0.500 0.750 (multiplicity 2)
Rh: 0.000 0.000 0.500 (multiplicity 2)
Rh: 0.000 0.500 0.250 (multiplicity 2)

The calculation puts the total energy at -49.8 eV per cell. The spin magnetization comes out at 0.0 μB/f.u. The formation energy from the elements is 0.677 eV/atom. As for the crystal system: tetragonal.

=====

6.
The following is a DFT calculation (PBE) of an optimized crystal structure of Sr2OsRh.

Cell lengths 4.660, 4.660, 8.584 Å; angles 90.00, 90.00, 90.00 degrees
Space group I4/mmm (No. 139)
Asymmetric unit:
____________
== End of the calculated crystals ==
We had a few other friends round for the celebrations, including Kendal and her family. The night was filled with yummy food, great company, and lots of cocktails, wine, and bubbles. Lucy was head of the divine food, her husband Boyd was on the bar, and everyone brought a delicious dessert. I couldn't have asked for a better first Thanksgiving without any family around! However, to be fair I was so grateful to be around people who I will always consider part of my Kiwi family.
After a nice sleep in from a fabulous Thanksgiving festivities we started making our way to Waiheke Island. Kendal and I drove to her friend Anna's house to meet up with everyone. All of her friends were so lovely and we were all so excited for the trip. Anna's dad flew us over to the island in their helicopter. That was definitely something special! The views were absolutely spectacular and it was definitely better than it would have been taking the ferry over lol! Some life!
The girls had organized a gorgeous AirBnB with a stunning view overlooking the ocean. A neighboring property was kind enough to let us land the chopper on their lawn so we would be within enough easy access of the house to get all of our stuff from a to z. After getting settled in we made some platters and some dinner, popped a few bottles of bubbly and had a dance party all night long. A classic start to a girls trip.
The next morning was filled with coffee and avo toast and a bit of sun bathing before we started getting ready for the day. We were booked in for lunch and a wine tasting at a local winery. So, of course we all got dressed up and took heaps of photos as you do! Lunch was divine and all of the wines were so yummy. We ended up spending a good few hours there before going back to the house for sunset and more drinks, more platters and much more dancing. What a wonderfully fun getaway that was!
We were lucky with the weather because it didn't get cold and wet until our departure day. And oh boy would it have been a sight to see six girls running and screaming through the rain with all of their luggage to get to the helicopter. Anna's dad was very gracious to pick us up and fly us back to Auckland-- but by the time we got to him and all fastened in ready for takeoff, we looked like a bunch of drowned rats. It definitely all makes for fun memories!
xx syd